[Job]
Quote everything further down without additions, please.

[Given]
~~~
a | Material: MgCo2H2O4
Method: DFT, PBE+U
State: relaxed

Calculated values
- Total magnetization: 0.6669 μB/atom

Lattice parameters (Å, degrees): 9.3966 3.2657 3.2657 58.32 90.00 90.00
Last column: nearest neighbours and their distance in Å.
Atoms (fractional coordinates):
Mg1 0.0000 0.0000 0.0000  3 H 1.86-1.88
Co1 0.2931 0.3280 0.3280  3 O 1.98-2.06
Co2 0.7069 0.3280 0.3280  3 O 1.98-2.06
H1 0.0000 0.6742 0.6742  2 O 1.18
H2 0.5000 0.9880 0.9880  2 O 1.22
O1 0.1257 0.6696 0.6696  1 H 1.18
O2 0.3704 0.9907 0.9907  1 H 1.22
O3 0.6296 0.9907 0.9907  1 H 1.22
O4 0.8743 0.6696 0.6696  1 H 1.18

---

b | Material: MgCo2H2O4
Method: DFT, PBE+U
State: relaxed

Calculated values
- Total magnetization: 0.6667 μB/atom

Lattice parameters (Å, degrees): 3.2738 9.9884 3.3021 90.00 119.48 90.00
Last column: nearest neighbours and their distance in Å.
Atoms (fractional coordinates):
Mg1 0.0000 0.0000 0.0000  3 H 1.90-1.91
Co1 0.3062 0.3135 0.6860  4 O 1.98-2.01
Co2 0.3062 0.6865 0.6860  4 O 1.98-2.01
H1 0.3297 0.0000 0.6612  2 O 1.16
H2 0.9749 0.5000 0.0253  2 O 1.22
O1 0.3367 0.1158 0.6647  1 H 1.16
O2 0.3367 0.8842 0.6647  1 H 1.16
O3 0.9743 0.3774 0.0244  1 H 1.22
O4 0.9743 0.6226 0.0244  1 H 1.22

---

Here is how they stack up, most stable first: b, a.

---

a | Material: CoP4H10O16
Method: DFT, PBE+U
State: relaxed

Calculated values
- Total magnetization: 0.0968 μB/atom

Lattice parameters (Å, degrees): 7.2209 8.4616 10.6882 98.43 92.28 99.73
Last column: nearest neighbours and their distance in Å.
Atoms (fractional coordinates):
Co1 0.0000 0.0000 0.0000  6 O 2.11-2.17
Co2 0.0000 0.0000 0.5000  6 O 2.11-2.18
P1 0.1743 0.2211 0.2828  4 O 1.53-1.59
P2 0.1738 0.2212 0.7835  4 O 1.53-1.59
P3 0.3192 0.7581 0.5231  4 O 1.52-1.58
P4 0.3201 0.7583 0.0238  4 O 1.52-1.58
P5 0.6799 0.2417 0.9762  4 O 1.52-1.58
P6 0.6808 0.2419 0.4769  4 O 1.52-1.58
P7 0.8262 0.7788 0.2165  4 O 1.53-1.59
P8 0.8257 0.7789 0.7172  4 O 1.53-1.59
H1 0.0833 0.7380 0.3149  1 O 1.03
H2 0.0826 0.7381 0.8168  1 O 1.03
H3 0.1314 0.5962 0.6141  1 O 1.00
H4 0.1320 0.5955 0.1135  1 O 1.00
H5 0.3048 0.9643 0.6687  1 O 1.02
H6 0.3064 0.9645 0.1689  1 O 1.03
H7 0.3722 0.2319 0.9904  1 O 1.05
H8 0.3730 0.2336 0.4903  1 O 1.04
H9 0.4212 0.3367 0.1972  1 O 0.99
H10 0.4211 0.3366 0.6980  1 O 0.99
H11 0.5789 0.6634 0.3020  1 O 0.99
H12 0.5788 0.6633 0.8028  1 O 0.99
H13 0.6270 0.7664 0.5097  1 O 1.04
H14 0.6278 0.7681 0.0096  1 O 1.05
H15 0.6936 0.0355 0.8311  1 O 1.03
H16 0.6952 0.0357 0.3313  1 O 1.02
H17 0.8680 0.4045 0.8865  1 O 1.00
H18 0.8686 0.4038 0.3859  1 O 1.00
H19 0.9174 0.2619 0.1832  1 O 1.03
H20 0.9167 0.2620 0.6851  1 O 1.03
O1 0.0048 0.6942 0.2306  1 H 1.03
O2 0.0046 0.6947 0.7323  1 H 1.03
O3 0.1610 0.0802 0.6739  1 P 1.53, 1 H 1.54
O4 0.1626 0.0798 0.1734  1 P 1.53, 1 H 1.54
O5 0.1813 0.8250 0.4422  1 P 1.52, 1 H 1.53
O6 0.1810 0.8254 0.9440  1 P 1.52, 1 H 1.53
O7 0.1835 0.1777 0.4168  1 H 1.52, 1 P 1.53
O8 0.1848 0.1764 0.9171  1 H 1.50, 1 P 1.53
O9 0.2310 0.5849 0.5531  1 H 1.00
O10 0.2326 0.5846 0.0532  1 H 1.00
O11 0.3529 0.3545 0.7763  1 H 0.99
O12 0.3537 0.3544 0.2759  1 H 0.99
O13 0.3847 0.8755 0.6496  1 H 1.02
O14 0.3862 0.8754 0.1505  1 H 1.03
O15 0.4989 0.2678 0.0464  1 H 1.05
O16 0.4993 0.2683 0.5463  1 H 1.04
O17 0.5007 0.7317 0.4537  1 H 1.04
O18 0.5011 0.7322 0.9536  1 H 1.05
O19 0.6138 0.1246 0.8495  1 H 1.03
O20 0.6153 0.1245 0.3504  1 H 1.02
O21 0.6463 0.6456 0.7241  1 H 0.99
O22 0.6471 0.6455 0.2237  1 H 0.99
O23 0.7674 0.4154 0.9468  1 H 1.00
O24 0.7690 0.4151 0.4469  1 H 1.00
O25 0.8152 0.8236 0.0829  1 H 1.50, 1 P 1.53
O26 0.8165 0.8223 0.5832  1 H 1.52, 1 P 1.53
O27 0.8190 0.1746 0.0560  1 P 1.52, 1 H 1.53
O28 0.8187 0.1750 0.5578  1 P 1.52, 1 H 1.53
O29 0.8374 0.9202 0.8266  1 P 1.53, 1 H 1.54
O30 0.8390 0.9198 0.3261  1 P 1.53, 1 H 1.54
O31 0.9954 0.3053 0.2677  1 H 1.03
O32 0.9952 0.3058 0.7694  1 H 1.03

---

b | Material: CoP4H10O16
Method: DFT, PBE+U
State: relaxed

Calculated values
- Total magnetization: 0.0968 μB/atom
~~~

[Reply]
a | Material: MgCo2H2O4
Method: DFT, PBE+U
State: relaxed

Calculated values
- Total magnetization: 0.6669 μB/atom

Lattice parameters (Å, degrees): 9.3966 3.2657 3.2657 58.32 90.00 90.00
Last column: nearest neighbours and their distance in Å.
Atoms (fractional coordinates):
Mg1 0.0000 0.0000 0.0000  3 H 1.86-1.88
Co1 0.2931 0.3280 0.3280  3 O 1.98-2.06
Co2 0.7069 0.3280 0.3280  3 O 1.98-2.06
H1 0.0000 0.6742 0.6742  2 O 1.18
H2 0.5000 0.9880 0.9880  2 O 1.22
O1 0.1257 0.6696 0.6696  1 H 1.18
O2 0.3704 0.9907 0.9907  1 H 1.22
O3 0.6296 0.9907 0.9907  1 H 1.22
O4 0.8743 0.6696 0.6696  1 H 1.18

---

b | Material: MgCo2H2O4
Method: DFT, PBE+U
State: relaxed

Calculated values
- Total magnetization: 0.6667 μB/atom

Lattice parameters (Å, degrees): 3.2738 9.9884 3.3021 90.00 119.48 90.00
Last column: nearest neighbours and their distance in Å.
Atoms (fractional coordinates):
Mg1 0.0000 0.0000 0.0000  3 H 1.90-1.91
Co1 0.3062 0.3135 0.6860  4 O 1.98-2.01
Co2 0.3062 0.6865 0.6860  4 O 1.98-2.01
H1 0.3297 0.0000 0.6612  2 O 1.16
H2 0.9749 0.5000 0.0253  2 O 1.22
O1 0.3367 0.1158 0.6647  1 H 1.16
O2 0.3367 0.8842 0.6647  1 H 1.16
O3 0.9743 0.3774 0.0244  1 H 1.22
O4 0.9743 0.6226 0.0244  1 H 1.22

---

Here is how they stack up, most stable first: b, a.

---

a | Material: CoP4H10O16
Method: DFT, PBE+U
State: relaxed

Calculated values
- Total magnetization: 0.0968 μB/atom

Lattice parameters (Å, degrees): 7.2209 8.4616 10.6882 98.43 92.28 99.73
Last column: nearest neighbours and their distance in Å.
Atoms (fractional coordinates):
Co1 0.0000 0.0000 0.0000  6 O 2.11-2.17
Co2 0.0000 0.0000 0.5000  6 O 2.11-2.18
P1 0.1743 0.2211 0.2828  4 O 1.53-1.59
P2 0.1738 0.2212 0.7835  4 O 1.53-1.59
P3 0.3192 0.7581 0.5231  4 O 1.52-1.58
P4 0.3201 0.7583 0.0238  4 O 1.52-1.58
P5 0.6799 0.2417 0.9762  4 O 1.52-1.58
P6 0.6808 0.2419 0.4769  4 O 1.52-1.58
P7 0.8262 0.7788 0.2165  4 O 1.53-1.59
P8 0.8257 0.7789 0.7172  4 O 1.53-1.59
H1 0.0833 0.7380 0.3149  1 O 1.03
H2 0.0826 0.7381 0.8168  1 O 1.03
H3 0.1314 0.5962 0.6141  1 O 1.00
H4 0.1320 0.5955 0.1135  1 O 1.00
H5 0.3048 0.9643 0.6687  1 O 1.02
H6 0.3064 0.9645 0.1689  1 O 1.03
H7 0.3722 0.2319 0.9904  1 O 1.05
H8 0.3730 0.2336 0.4903  1 O 1.04
H9 0.4212 0.3367 0.1972  1 O 0.99
H10 0.4211 0.3366 0.6980  1 O 0.99
H11 0.5789 0.6634 0.3020  1 O 0.99
H12 0.5788 0.6633 0.8028  1 O 0.99
H13 0.6270 0.7664 0.5097  1 O 1.04
H14 0.6278 0.7681 0.0096  1 O 1.05
H15 0.6936 0.0355 0.8311  1 O 1.03
H16 0.6952 0.0357 0.3313  1 O 1.02
H17 0.8680 0.4045 0.8865  1 O 1.00
H18 0.8686 0.4038 0.3859  1 O 1.00
H19 0.9174 0.2619 0.1832  1 O 1.03
H20 0.9167 0.2620 0.6851  1 O 1.03
O1 0.0048 0.6942 0.2306  1 H 1.03
O2 0.0046 0.6947 0.7323  1 H 1.03
O3 0.1610 0.0802 0.6739  1 P 1.53, 1 H 1.54
O4 0.1626 0.0798 0.1734  1 P 1.53, 1 H 1.54
O5 0.1813 0.8250 0.4422  1 P 1.52, 1 H 1.53
O6 0.1810 0.8254 0.9440  1 P 1.52, 1 H 1.53
O7 0.1835 0.1777 0.4168  1 H 1.52, 1 P 1.53
O8 0.1848 0.1764 0.9171  1 H 1.50, 1 P 1.53
O9 0.2310 0.5849 0.5531  1 H 1.00
O10 0.2326 0.5846 0.0532  1 H 1.00
O11 0.3529 0.3545 0.7763  1 H 0.99
O12 0.3537 0.3544 0.2759  1 H 0.99
O13 0.3847 0.8755 0.6496  1 H 1.02
O14 0.3862 0.8754 0.1505  1 H 1.03
O15 0.4989 0.2678 0.0464  1 H 1.05
O16 0.4993 0.2683 0.5463  1 H 1.04
O17 0.5007 0.7317 0.4537  1 H 1.04
O18 0.5011 0.7322 0.9536  1 H 1.05
O19 0.6138 0.1246 0.8495  1 H 1.03
O20 0.6153 0.1245 0.3504  1 H 1.02
O21 0.6463 0.6456 0.7241  1 H 0.99
O22 0.6471 0.6455 0.2237  1 H 0.99
O23 0.7674 0.4154 0.9468  1 H 1.00
O24 0.7690 0.4151 0.4469  1 H 1.00
O25 0.8152 0.8236 0.0829  1 H 1.50, 1 P 1.53
O26 0.8165 0.8223 0.5832  1 H 1.52, 1 P 1.53
O27 0.8190 0.1746 0.0560  1 P 1.52, 1 H 1.53
O28 0.8187 0.1750 0.5578  1 P 1.52, 1 H 1.53
O29 0.8374 0.9202 0.8266  1 P 1.53, 1 H 1.54
O30 0.8390 0.9198 0.3261  1 P 1.53, 1 H 1.54
O31 0.9954 0.3053 0.2677  1 H 1.03
O32 0.9952 0.3058 0.7694  1 H 1.03

---

b | Material: CoP4H10O16
Method: DFT, PBE+U
State: relaxed

Calculated values
- Total magnetization: 0.0968 μB/atom